Data >
=====
DFT (GGA+U) results for a geometry-optimized Fe2SiO4 structure.

Total energy after the MP2020 corrections in hartree per atom: -0.2913

Unit cell a=5.7605 b=5.7605 c=5.7605 alpha=121.12 beta=111.87 gamma=96.35
Fractional positions:
Fe: 0.0000 0.5000 0.5000
Fe: 0.5000 0.0000 0.0000
Fe: 0.5000 0.5000 0.5000
Fe: 0.5000 0.5000 0.0000
O: 0.7988 0.2397 0.5591
O: 0.2333 0.2447 0.5115
O: 0.8193 0.7603 0.0590
O: 0.7667 0.7553 0.4885
O: 0.1807 0.2397 0.9410
O: 0.2333 0.7218 0.9885
O: 0.7667 0.2782 0.0115
O: 0.2012 0.7603 0.4410
Si: 0.0000 0.5000 0.0000
Si: 0.0000 0.0000 0.5000


DFT (GGA+U) results for a geometry-optimized FeSiO4 structure.

Total energy after the MP2020 corrections in hartree per atom: -0.2827

Unit cell a=5.3599 b=7.2408 c=11.4808 alpha=54.64 beta=90.00 gamma=90.00
Fractional positions:
O: 0.8939 0.7816 0.1437
O: 0.1479 0.7261 0.5855
O: 0.7355 0.9592 0.8643
O: 0.2664 0.6004 0.8517
O: 0.6061 0.7816 0.6437
O: 0.7645 0.9592 0.3643
O: 0.2355 0.0408 0.6357
O: 0.6479 0.2739 0.9145
O: 0.1061 0.2184 0.8563
O: 0.8521 0.2739 0.4145
O: 0.7336 0.3996 0.1483
O: 0.3939 0.2184 0.3563
O: 0.2336 0.6004 0.3517
O: 0.7664 0.3996 0.6483
O: 0.3521 0.7261 0.0855
O: 0.2645 0.0408 0.1357
Si: 0.3111 0.7877 0.6789
Si: 0.8111 0.2123 0.8211
Si: 0.1889 0.7877 0.1789
Si: 0.6889 0.2123 0.3211
Fe: 0.3170 0.2909 0.9506
Fe: 0.6830 0.7091 0.0494
Fe: 0.1830 0.2909 0.4506
Fe: 0.8170 0.7091 0.5494


DFT (GGA+U) results for a geometry-optimized Fe5Si3O12 structure.

Total energy after the MP2020 corrections in hartree per atom: -0.3021

Unit cell a=10.2844 b=10.2844 c=10.2844 alpha=109.47 beta=109.47 gamma=109.47
Fractional positions:
O: 0.9115 0.1220 0.6043
O: 0.0177 0.3072 0.8957
O: 0.1043 0.6220 0.4115
O: 0.8072 0.7895 0.4115
O: 0.3780 0.5885 0.8957
O: 0.2895 0.3072 0.9115
O: 0.1928 0.2105 0.5885
O: 0.9115 0.2895 0.3072
O: 0.5885 0.8957 0.3780
O: 0.4115 0.8072 0.7895
O: 0.8072 0.5177 0.3957
O: 0.9823 0.6928 0.1043
O: 0.7895 0.8780 0.9823
O: 0.9823 0.7895 0.8780
O: 0.0177 0.2105 0.1220
O: 0.8957 0.3780 0.5885
O: 0.6220 0.4115 0.1043
O: 0.4823 0.6043 0.1928
O: 0.4115 0.1043 0.6220
O: 0.6928 0.0885 0.7105
O: 0.2105 0.1220 0.0177
O: 0.5177 0.3957 0.8072
O: 0.6928 0.1043 0.9823
O: 0.2105 0.5885 0.1928
O: 0.1043 0.9823 0.6928
O: 0.7105 0.6928 0.0885
O: 0.5177 0.6220 0.7105
O: 0.0885 0.8780 0.3957
O: 0.7105 0.5177 0.6220
O: 0.8780 0.3957 0.0885
O: 0.5885 0.1928 0.2105
O: 0.1220 0.6043 0.9115
O: 0.3072 0.9115 0.2895
O: 0.3780 0.2895 0.4823
O: 0.3072 0.8957 0.0177
O: 0.1928 0.4823 0.6043
O: 0.6043 0.9115 0.1220
O: 0.3957 0.0885 0.8780
O: 0.0885 0.7105 0.6928
O: 0.6043 0.1928 0.4823
O: 0.4823 0.3780 0.2895
O: 0.2895 0.4823 0.3780
O: 0.3957 0.8072 0.5177
O: 0.1220 0.0177 0.2105
O: 0.8957 0.0177 0.3072
O: 0.6220 0.7105 0.5177
O: 0.7895 0.4115 0.8072
O: 0.8780 0.9823 0.7895
Fe: 0.1250 0.2500 0.3750
Fe: 0.5000 0.0000 0.0000
Fe: 0.0000 0.5000 0.5000
Fe: 0.1250 0.3750 0.7500
Fe: 0.5000 0.5000 0.5000
Fe: 0.0000 0.0000 0.0000
Fe: 0.8750 0.7500 0.6250
Fe: 0.6250 0.8750 0.7500
Fe: 0.5000 0.0000 0.5000
Fe: 0.7500 0.6250 0.8750
Fe: 0.5000 0.5000 0.0000
Fe: 0.2500 0.3750 0.1250
Fe: 0.3750 0.1250 0.2500
Fe: 0.6250 0.2500 0.8750
Fe: 0.7500 0.1250 0.3750
Fe: 0.3750 0.7500 0.1250
Fe: 0.0000 0.0000 0.5000
Fe: 0.8750 0.6250 0.2500
Fe: 0.2500 0.8750 0.6250
Fe: 0.0000 0.5000 0.0000
Si: 0.8750 0.2500 0.1250
Si: 0.1250 0.8750 0.2500
Si: 0.6250 0.7500 0.3750
Si: 0.3750 0.2500 0.6250
Si: 0.7500 0.3750 0.6250
Si: 0.2500 0.1250 0.8750
Si: 0.3750 0.6250 0.7500
Si: 0.7500 0.8750 0.1250
Si: 0.2500 0.6250 0.3750
Si: 0.1250 0.7500 0.8750
Si: 0.8750 0.1250 0.7500
Si: 0.6250 0.3750 0.2500


So what do the calculations give for excess energy over the best structure of this formula in the dataset? Going down the list: 38.4 0.5 1.4 kJ per mole of atoms.
So what do the calculations give for total energy? Going down the list: -96.44 -164.60 -579.50 eV for the cell shown.
=====
Wanted >
Type out the whole of the notes further above character by character.
Outcome >
DFT (GGA+U) results for a geometry-optimized Fe2SiO4 structure.

Total energy after the MP2020 corrections in hartree per atom: -0.2913

Unit cell a=5.7605 b=5.7605 c=5.7605 alpha=121.12 beta=111.87 gamma=96.35
Fractional positions:
Fe: 0.0000 0.5000 0.5000
Fe: 0.5000 0.0000 0.0000
Fe: 0.5000 0.5000 0.5000
Fe: 0.5000 0.5000 0.0000
O: 0.7988 0.2397 0.5591
O: 0.2333 0.2447 0.5115
O: 0.8193 0.7603 0.0590
O: 0.7667 0.7553 0.4885
O: 0.1807 0.2397 0.9410
O: 0.2333 0.7218 0.9885
O: 0.7667 0.2782 0.0115
O: 0.2012 0.7603 0.4410
Si: 0.0000 0.5000 0.0000
Si: 0.0000 0.0000 0.5000


DFT (GGA+U) results for a geometry-optimized FeSiO4 structure.

Total energy after the MP2020 corrections in hartree per atom: -0.2827

Unit cell a=5.3599 b=7.2408 c=11.4808 alpha=54.64 beta=90.00 gamma=90.00
Fractional positions:
O: 0.8939 0.7816 0.1437
O: 0.1479 0.7261 0.5855
O: 0.7355 0.9592 0.8643
O: 0.2664 0.6004 0.8517
O: 0.6061 0.7816 0.6437
O: 0.7645 0.9592 0.3643
O: 0.2355 0.0408 0.6357
O: 0.6479 0.2739 0.9145
O: 0.1061 0.2184 0.8563
O: 0.8521 0.2739 0.4145
O: 0.7336 0.3996 0.1483
O: 0.3939 0.2184 0.3563
O: 0.2336 0.6004 0.3517
O: 0.7664 0.3996 0.6483
O: 0.3521 0.7261 0.0855
O: 0.2645 0.0408 0.1357
Si: 0.3111 0.7877 0.6789
Si: 0.8111 0.2123 0.8211
Si: 0.1889 0.7877 0.1789
Si: 0.6889 0.2123 0.3211
Fe: 0.3170 0.2909 0.9506
Fe: 0.6830 0.7091 0.0494
Fe: 0.1830 0.2909 0.4506
Fe: 0.8170 0.7091 0.5494


DFT (GGA+U) results for a geometry-optimized Fe5Si3O12 structure.

Total energy after the MP2020 corrections in hartree per atom: -0.3021

Unit cell a=10.2844 b=10.2844 c=10.2844 alpha=109.47 beta=109.47 gamma=109.47
Fractional positions:
O: 0.9115 0.1220 0.6043
O: 0.0177 0.3072 0.8957
O: 0.1043 0.6220 0.4115
O: 0.8072 0.7895 0.4115
O: 0.3780 0.5885 0.8957
O: 0.2895 0.3072 0.9115
O: 0.1928 0.2105 0.5885
O: 0.9115 0.2895 0.3072
O: 0.5885 0.8957 0.3780
O: 0.4115 0.8072 0.7895
O: 0.8072 0.5177 0.3957
O: 0.9823 0.6928 0.1043
O: 0.7895 0.8780 0.9823
O: 0.9823 0.7895 0.8780
O: 0.0177 0.2105 0.1220
O: 0.8957 0.3780 0.5885
O: 0.6220 0.4115 0.1043
O: 0.4823 0.6043 0.1928
O: 0.4115 0.1043 0.6220
O: 0.6928 0.0885 0.7105
O: 0.2105 0.1220 0.0177
O: 0.5177 0.3957 0.8072
O: 0.6928 0.1043 0.9823
O: 0.2105 0.5885 0.1928
O: 0.1043 0.9823 0.6928
O: 0.7105 0.6928 0.0885
O: 0.5177 0.6220 0.7105
O: 0.0885 0.8780 0.3957
O: 0.7105 0.5177 0.6220
O: 0.8780 0.3957 0.0885
O: 0.5885 0.1928 0.2105
O: 0.1220 0.6043 0.9115
O: 0.3072 0.9115 0.2895
O: 0.3780 0.2895 0.4823
O: 0.3072 0.8957 0.0177
O: 0.1928 0.4823 0.6043
O: 0.6043 0.9115 0.1220
O: 0.3957 0.0885 0.8780
O: 0.0885 0.7105 0.6928
O: 0.6043 0.1928 0.4823
O: 0.4823 0.3780 0.2895
O: 0.2895 0.4823 0.3780
O: 0.3957 0.8072 0.5177
O: 0.1220 0.0177 0.2105
O: 0.8957 0.0177 0.3072
O: 0.6220 0.7105 0.5177
O: 0.7895 0.4115 0.8072
O: 0.8780 0.9823 0.7895
Fe: 0.1250 0.2500 0.3750
Fe: 0.5000 0.0000 0.0000
Fe: 0.0000 0.5000 0.5000
Fe: 0.1250 0.3750 0.7500
Fe: 0.5000 0.5000 0.5000
Fe: 0.0000 0.0000 0.0000
Fe: 0.8750 0.7500 0.6250
Fe: 0.6250 0.8750 0.7500
Fe: 0.5000 0.0000 0.5000
Fe: 0.7500 0.6250 0.8750
Fe: 0.5000 0.5000 0.0000
Fe: 0.2500 0.3750 0.1250
Fe: 0.3750 0.1250 0.2500
Fe: 0.6250 0.2500 0.8750
Fe: 0.7500 0.1250 0.3750
Fe: 0.3750 0.7500 0.1250
Fe: 0.0000 0.0000 0.5000
Fe: 0.8750 0.6250 0.2500
Fe: 0.2500 0.8750 0.6250
Fe: 0.0000 0.5000 0.0000
Si: 0.8750 0.2500 0.1250
Si: 0.1250 0.8750 0.2500
Si: 0.6250 0.7500 0.3750
Si: 0.3750 0.2500 0.6250
Si: 0.7500 0.3750 0.6250
Si: 0.2500 0.1250 0.8750
Si: 0.3750 0.6250 0.7500
Si: 0.7500 0.8750 0.1250
Si: 0.2500 0.6250 0.3750
Si: 0.1250 0.7500 0.8750
Si: 0.8750 0.1250 0.7500
Si: 0.6250 0.3750 0.2500


So what do the calculations give for excess energy over the best structure of this formula in the dataset? Going down the list: 38.4 0.5 1.4 kJ per mole of atoms.
So what do the calculations give for total energy? Going down the list: -96.44 -164.60 -579.50 eV for the cell shown.